To do:
Now print all of the calculation results further below unchanged.

Contents:
........
Compound: NaNdErAl
Source: Alexandria
Functional: GGA-PBE
Structure: relaxed

Properties
V in Å³/atom: 26.981
Energy of formation in kJ per mole of atoms: -3.7

POSCAR file:
```
NaNdErAl
1.0
-4.031 0.226 3.501
-0.398 -3.677 3.858
0.948 1.348 5.084
Na Nd Al Er
1 1 1 1
Direct
........

Response:
Compound: NaNdErAl
Source: Alexandria
Functional: GGA-PBE
Structure: relaxed

Properties
V in Å³/atom: 26.981
Energy of formation in kJ per mole of atoms: -3.7

POSCAR file:
```
NaNdErAl
1.0
-4.031 0.226 3.501
-0.398 -3.677 3.858
0.948 1.348 5.084
Na Nd Al Er
1 1 1 1
Direct